
In A World Where Magic Is In English

Rumius was reaching the end. He lay in his hospital bed, the city lights flashing like a disco outside his window. Then he died. Fast forward to the future, he is now thrust into a world completely unknown to him. Magic, check. Monsters? Check. Ethics? Fuck, what’s that? His new world was brutal and terrifying yet somehow, god had seen it fit to give him an unusual gift. He would not have to memorise spells yet still use them. He would not have to read and study yet still know everything there is to know. He would be an ordinary genius of unmatched ability. And why? Because magic in this world was in English.

RumiusDaylight · ファンタジー
93 Chs

Arbelest Eldmich

Rennie was quickly taken aback as a wave of confusion overwhelmed her senses.

' What?' 

' It hasn't even been 5 minutes since I've discovered the mark and already it's gone?' 

Being a maid, Rennie had a basic grasp on knowledge of wounds. Slaps were impact wounds that, depending on the force used, could last up to a few minutes to a few hours. That fact that it disappeared so quickly meant only that the force used behind the blow was so pathetically weak that the motive behind such an action was almost inconceivable.

' What would they even get from it? Was it a prank? There is literally no..'

" Ahem."

Milord cleared his throat and fixed Rennie with a questioning gaze. He clicked his tongue, a faint smile tracing his lips as his cocked his head to one side.

" I supposed I should punish you."

Rennie's heart instantly shot back up in her throat, the boulder that she had let down once again bearing down on her shoulders.

" Milord?"

"I mean…..it just appears to me that you've woken me up for nothing if some sort of elaborate prank."

" Is this your idea of a joke Rennie?"

All Rennie could hear was the sound of her pounding heartbeat.

" No! No! Absolutely not milord! I would never dare!"

" Really? It sure looks that way to me."

The kindly looking man turned around, his white teeth still showing by dint of his seemingly chiseled jaw muscles but his now cold eyes completely betraying the rest of his face.

Rennie's nerves felt as if they had been electrocuted. 

' No! Why is this happening? What even if this? Please! Believe me!' Rennie thought, horrified but only able to watch helplessly as her master prowled slowly towards her like a predator.

" M-Milord…please….I meant no offence. Pl-Please believe me.." Rennie pleaded, her legs frozen tight on the spot. Her fingers were feebly interlaced and held above her tear-streaked face as if in prayer. 

Milord reached out, his palm outstretched, growing larger as it approached her face and in an instant, Rennie could no longer see anything beyond his fingers.

Only this thought occured through her mind.

' Death by spell cast.'

She closed her eyes, awaiting the end vision.

She waited. And waited.

 Rennie felt a rough and warm feeling move slowly across her cheek. 

She opened her eyes and through her swimming vision, she saw first, milord's arm and his loosely closed fist wiping her tears and second, his kindly visage that seemed so alien from his earlier look that made her wonder if this was even the same man. 

" It's alright, there's no need to cry." Came his deep voice.

~~~
CoBi2SO7: optimized geometry, PBE+U.

Properties
Energy of formation from the pure elements = -1.75 eV per atom
Crystal system = orthorhombic
Density = 6.48 Mg/m³
Polymorph energy (0 for the lowest one) = 4 meV/atom
Calculated volume = 159 Å³/f.u.

The structure in POSCAR format:
```
CoBi2SO7
1.0
7.2923 0.0000 0.0000
0.0000 16.0326 0.0000
0.0000 0.0000 5.4430
Co Bi S O
4 8 4 28
direct
0.0539 0.1733 0.2500
0.0539 0.3267 0.7500
0.9461 0.6733 0.2500
0.9461 0.8267 0.7500
0.1683 0.0188 0.7500
0.1683 0.4812 0.2500
0.2256 0.6591 0.7500
0.2256 0.8409 0.2500
0.7744 0.1591 0.7500
0.7744 0.3409 0.2500
0.8317 0.5188 0.7500
0.8317 0.9812 0.2500
0.4063 0.1099 0.2500
0.4063 0.3901 0.7500
0.5937 0.6099 0.2500
0.5937 0.8901 0.7500
0.0452 0.5817 0.5041
0.0452 0.5817 0.9959
0.0452 0.9183 0.0041
0.0452 0.9183 0.4959
0.0790 0.7500 0.0000
0.0790 0.7500 0.5000
0.3114 0.1471 0.0301
0.3114 0.1471 0.4699
0.3114 0.3529 0.5301
0.3114 0.3529 0.9699
0.3841 0.0176 0.2500
0.3841 0.4824 0.7500
0.3953 0.6329 0.2500
0.3953 0.8671 0.7500
0.6047 0.1329 0.2500
0.6047 0.3671 0.7500
0.6159 0.5176 0.2500
0.6159 0.9824 0.7500
0.6886 0.6471 0.0301
0.6886 0.6471 0.4699
0.6886 0.8529 0.5301
0.6886 0.8529 0.9699
0.9210 0.2500 0.0000
0.9210 0.2500 0.5000
0.9548 0.0817 0.5041
0.9548 0.0817 0.9959
0.9548 0.4183 0.0041
0.9548 0.4183 0.4959
```

* * * * *

This record from the Materials Project database describes a relaxed Hg crystal. The functional is r2SCAN.

Properties
As for the magnetic moment: 0.0000 μB per atom. The formation energy comes out at 0.010 eV per atom. The value obtained for the relative energy among the computed polymorphs is 10.1 meV per atom. For the energy, the calculation gives -49.358 eV per atom.

abc: 6.3896 6.3896 3.3892
angles: 90.00 90.00 128.83
Positions (direct):
Hg1 0.1308 0.8692 0.9992
Hg2 0.3692 0.6308 0.4992
Hg3 0.6308 0.3692 0.5008
Hg4 0.8692 0.1308 0.0008
~~~
**Back to the article**

Milord looked into the eyes of the girl in his arms and laid one palm on her head, stroking it gently as if comforting a pet. He offered a small smile, stood up and walked away towards the door. 

" I entrust my son to your care Rennie, I have faith in your abilities." 

Without waiting for an answer, he pulled the door open, stepped out and was gone. 

Pin-drop silence fell upon the room once more and for those inside, it was like time had stopped.

Rennie didn't know what to say. 

What even just happened?

Wasn't she supposed to be dead? Did the Master just wipe her tears? 

Did he forgive her? 

Should she be honoured? Relieved? Both? 

For one incredulous moment, the thought even crossed Rennie's mind that, perhaps, she was already dead and this was simply a dream.

The silence lasted for quite awhile before, slowly, another maid anxiously approached her colleague and asked: 

" Hey, are you okay? " 

She never got an answer. The young woman's knees gave out and she slumped on the wooden floor, unconscious, her body thus hitting the floor with a dull 'thud'.

Another, shorter moment of silence followed before a hectic clamouring filled the room. 

" Hey! Hey! Are you okay? Somebody come help! Help! " screamed the maid beside Rennie as she shook her unconscious body as the other maids snapped from their daze and gathered around the unconscious young woman.

" Hey! Rennie? Oh by the Primarchs her hand is so cold!"

" Someone grab her legs!" said one of the maids.

" And what the blazes for?" Came another voice

" So we can get her to the infirmary you half-wit!"

With some bickering, the maids managed to organise themselves in their panic and eventually, carried Rennie out of the room by lifting her up by her arms and legs in the way that made her lower body assets sag downward towards the floor.

Eventually the door closed again and silence fell upon the room. 

Yikes, dude has problems. How're we going to deal with this?

RumiusDaylightcreators' thoughts